## Given
=====
Simulated powder XRD pattern
Compound: CdH4CN2Cl2O
Radiation: Cu Kα
Structure: a structure optimized by DFT (PBE)

The 10 most intense peaks (2θ from 10° to 90°), low angle first:
d_spacing	2θ (°)	intensity	hkl
7.971	11.10	62.7	0 1 0
7.096	12.47	100.0	0 1 1
4.938	17.96	24.1	0 0 2
3.807	23.37	20.1	0 1 -2
3.417	26.08	48.2	0 2 -1
3.208	27.81	38.1	1 1 2
2.790	32.08	22.6	0 2 -2
2.745	32.63	32.6	-1 1 2
2.512	35.75	15.5	1 2 3
2.423	37.10	15.1	0 3 -1

Crystal structure
Unit cell a=3.8214 b=8.2952 c=10.2612 alpha=75.23 beta=82.66 gamma=81.98
Sites, in units of the cell vectors:
Cd (0.2316, 0.3806, 0.1780)
Cd (0.7684, 0.6194, 0.8220)
H (0.0972, 0.8608, 0.4995)
H (0.3303, 0.7219, 0.4087)
H (0.3895, 0.1829, 0.8013)
H (0.4010, 0.9683, 0.8763)
H (0.5990, 0.0317, 0.1237)
H (0.6105, 0.8171, 0.1987)
H (0.6697, 0.2781, 0.5913)
H (0.9028, 0.1392, 0.5005)
C (0.3106, 0.9709, 0.3089)
C (0.6894, 0.0291, 0.6911)
N (0.2186, 0.8404, 0.4098)
N (0.4988, 0.0631, 0.8034)
N (0.5012, 0.9369, 0.1966)
N (0.7814, 0.1596, 0.5902)
Cl (0.1862, 0.6933, 0.9874)
Cl (0.3526, 0.5123, 0.6901)
Cl (0.6474, 0.4877, 0.3099)
Cl (0.8138, 0.3067, 0.0126)
O (0.2074, 0.1206, 0.3200)
O (0.7926, 0.8794, 0.6800)


# 1
The following is a theoretical powder XRD pattern of La12Tb7Th. It was derived from a cell relaxed with PBE, using Cu Kα (λ = 1.5418 Å).
No peak broadening, texture or thermal motion is included.

Structure:
```
La12Tb7Th
1.0
9.837 5.679 2.134
-9.837 5.679 2.134
0.000 -11.359 2.134
La Tb Th
12 7 1
Direct
0.001 0.407 0.594
0.073 0.074 0.430
0.074 0.430 0.073
0.406 0.999 0.593
0.407 0.594 0.001
0.430 0.073 0.074
0.570 0.927 0.926
0.593 0.406 0.999
0.594 0.001 0.407
0.926 0.570 0.927
0.927 0.926 0.570
0.999 0.593 0.406
0.000 0.000 0.000
0.130 0.381 0.381
0.381 0.130 0.381
0.381 0.381 0.130
0.619 0.619 0.870
0.619 0.870 0.619
0.870 0.619 0.619
0.500 0.500 0.500
```

The 8 most intense peaks (2θ = 10–90°), low angle first:
2θ/deg, I/Imax
27.20, 68
29.70, 100
29.82, 59
32.43, 47
32.83, 53
33.82, 40
38.59, 45
46.89, 35


# 2
The following is a theoretical powder XRD pattern of Tl3In3SnI8. It was derived from a cell relaxed with PBE, using Cu Kα (λ = 1.5418 Å).
No peak broadening, texture or thermal motion is included.

Structure:
```
Tl3In3SnI8
1.0
4.960 2.864 8.141
-4.960 2.864 8.141
0.000 -5.727 8.141
Tl In Sn I
3 3 1 8
Direct
0.000 0.500 0.500
0.500 0.000 0.500
0.500 0.500 0.000
0.000 0.000 0.500
0.000 0.500 0.000
0.500 0.000 0.000
0.500 0.500 0.500
0.249 0.249 0.249
0.267 0.731 0.731
0.269 0.269 0.733
0.269 0.733 0.269
0.731 0.267 0.731
0.731 0.731 0.267
0.733 0.269 0.269
0.751 0.751 0.751
```

The 8 most intense peaks (2θ = 10–90°), low angle first:
2θ/deg, I/Imax
10.92, 13
25.35, 100
36.09, 38
36.22, 38
44.73, 21
58.68, 17
58.86, 17
65.10, 19


# 3
The following is a theoretical powder XRD pattern of Er3Cd2Ag4. It was derived from a cell relaxed with PBE, using Cu Kα (λ = 1.5418 Å).
No peak broadening, texture or thermal motion is included.

Structure:
```
Er3Cd2Ag4
1.0
5.398 -2.394 0.000
5.398 2.394 0.000
-4.590 0.000 7.797
Er Cd Ag
3 2 4
Direct
0.000 0.000 0.000
0.341 0.341 0.321
0.659 0.659 0.679
0.372 0.372 0.707
0.628 0.628 0.293
0.060 0.060 0.394
0.275 0.275 0.940
0.725 0.725 0.060
0.940 0.940 0.606
```

The 8 most intense peaks (2θ = 10–90°), low angle first:
2θ/deg, I/Imax
34.19, 29
34.47, 100
34.62, 58
37.04, 100
37.57, 50
51.70, 17
51.93, 20
68.78, 29


# 4
The following is a theoretical powder XRD pattern of Li4Dy3HoS8. It was derived from a cell relaxed with PBE, using Cu Kα (λ = 1.5418 Å).
No peak broadening, texture or thermal motion is included.

Structure:
```
Li4Dy3HoS8
1.0
3.909 2.257 6.176
-3.909 2.257 6.176
0.000 -4.514 6.176
Li Dy Ho S
4 3 1 8
Direct
0.000 0.000 0.000
0.000 0.500 0.500
0.500 0.000 0.500
0.500 0.500 0.000
0.000 0.000 0.500
0.000 0.500 0.000
0.500 0.000 0.000
0.500 0.500 0.500
0.250 0.250 0.250
0.251 0.251 0.749
0.251 0.749 0.251
0.251 0.749 0.749
0.749 0.251 0.251
0.749 0.251 0.749
0.749 0.749 0.251
0.750 0.750 0.750
```
=====

## Brief
Write out everything above verbatim.

## Worked solution
Simulated powder XRD pattern
Compound: CdH4CN2Cl2O
Radiation: Cu Kα
Structure: a structure optimized by DFT (PBE)

The 10 most intense peaks (2θ from 10° to 90°), low angle first:
d_spacing	2θ (°)	intensity	hkl
7.971	11.10	62.7	0 1 0
7.096	12.47	100.0	0 1 1
4.938	17.96	24.1	0 0 2
3.807	23.37	20.1	0 1 -2
3.417	26.08	48.2	0 2 -1
3.208	27.81	38.1	1 1 2
2.790	32.08	22.6	0 2 -2
2.745	32.63	32.6	-1 1 2
2.512	35.75	15.5	1 2 3
2.423	37.10	15.1	0 3 -1

Crystal structure
Unit cell a=3.8214 b=8.2952 c=10.2612 alpha=75.23 beta=82.66 gamma=81.98
Sites, in units of the cell vectors:
Cd (0.2316, 0.3806, 0.1780)
Cd (0.7684, 0.6194, 0.8220)
H (0.0972, 0.8608, 0.4995)
H (0.3303, 0.7219, 0.4087)
H (0.3895, 0.1829, 0.8013)
H (0.4010, 0.9683, 0.8763)
H (0.5990, 0.0317, 0.1237)
H (0.6105, 0.8171, 0.1987)
H (0.6697, 0.2781, 0.5913)
H (0.9028, 0.1392, 0.5005)
C (0.3106, 0.9709, 0.3089)
C (0.6894, 0.0291, 0.6911)
N (0.2186, 0.8404, 0.4098)
N (0.4988, 0.0631, 0.8034)
N (0.5012, 0.9369, 0.1966)
N (0.7814, 0.1596, 0.5902)
Cl (0.1862, 0.6933, 0.9874)
Cl (0.3526, 0.5123, 0.6901)
Cl (0.6474, 0.4877, 0.3099)
Cl (0.8138, 0.3067, 0.0126)
O (0.2074, 0.1206, 0.3200)
O (0.7926, 0.8794, 0.6800)


# 1
The following is a theoretical powder XRD pattern of La12Tb7Th. It was derived from a cell relaxed with PBE, using Cu Kα (λ = 1.5418 Å).
No peak broadening, texture or thermal motion is included.

Structure:
```
La12Tb7Th
1.0
9.837 5.679 2.134
-9.837 5.679 2.134
0.000 -11.359 2.134
La Tb Th
12 7 1
Direct
0.001 0.407 0.594
0.073 0.074 0.430
0.074 0.430 0.073
0.406 0.999 0.593
0.407 0.594 0.001
0.430 0.073 0.074
0.570 0.927 0.926
0.593 0.406 0.999
0.594 0.001 0.407
0.926 0.570 0.927
0.927 0.926 0.570
0.999 0.593 0.406
0.000 0.000 0.000
0.130 0.381 0.381
0.381 0.130 0.381
0.381 0.381 0.130
0.619 0.619 0.870
0.619 0.870 0.619
0.870 0.619 0.619
0.500 0.500 0.500
```

The 8 most intense peaks (2θ = 10–90°), low angle first:
2θ/deg, I/Imax
27.20, 68
29.70, 100
29.82, 59
32.43, 47
32.83, 53
33.82, 40
38.59, 45
46.89, 35


# 2
The following is a theoretical powder XRD pattern of Tl3In3SnI8. It was derived from a cell relaxed with PBE, using Cu Kα (λ = 1.5418 Å).
No peak broadening, texture or thermal motion is included.

Structure:
```
Tl3In3SnI8
1.0
4.960 2.864 8.141
-4.960 2.864 8.141
0.000 -5.727 8.141
Tl In Sn I
3 3 1 8
Direct
0.000 0.500 0.500
0.500 0.000 0.500
0.500 0.500 0.000
0.000 0.000 0.500
0.000 0.500 0.000
0.500 0.000 0.000
0.500 0.500 0.500
0.249 0.249 0.249
0.267 0.731 0.731
0.269 0.269 0.733
0.269 0.733 0.269
0.731 0.267 0.731
0.731 0.731 0.267
0.733 0.269 0.269
0.751 0.751 0.751
```

The 8 most intense peaks (2θ = 10–90°), low angle first:
2θ/deg, I/Imax
10.92, 13
25.35, 100
36.09, 38
36.22, 38
44.73, 21
58.68, 17
58.86, 17
65.10, 19


# 3
The following is a theoretical powder XRD pattern of Er3Cd2Ag4. It was derived from a cell relaxed with PBE, using Cu Kα (λ = 1.5418 Å).
No peak broadening, texture or thermal motion is included.

Structure:
```
Er3Cd2Ag4
1.0
5.398 -2.394 0.000
5.398 2.394 0.000
-4.590 0.000 7.797
Er Cd Ag
3 2 4
Direct
0.000 0.000 0.000
0.341 0.341 0.321
0.659 0.659 0.679
0.372 0.372 0.707
0.628 0.628 0.293
0.060 0.060 0.394
0.275 0.275 0.940
0.725 0.725 0.060
0.940 0.940 0.606
```

The 8 most intense peaks (2θ = 10–90°), low angle first:
2θ/deg, I/Imax
34.19, 29
34.47, 100
34.62, 58
37.04, 100
37.57, 50
51.70, 17
51.93, 20
68.78, 29


# 4
The following is a theoretical powder XRD pattern of Li4Dy3HoS8. It was derived from a cell relaxed with PBE, using Cu Kα (λ = 1.5418 Å).
No peak broadening, texture or thermal motion is included.

Structure:
```
Li4Dy3HoS8
1.0
3.909 2.257 6.176
-3.909 2.257 6.176
0.000 -4.514 6.176
Li Dy Ho S
4 3 1 8
Direct
0.000 0.000 0.000
0.000 0.500 0.500
0.500 0.000 0.500
0.500 0.500 0.000
0.000 0.000 0.500
0.000 0.500 0.000
0.500 0.000 0.000
0.500 0.500 0.500
0.250 0.250 0.250
0.251 0.251 0.749
0.251 0.749 0.251
0.251 0.749 0.749
0.749 0.251 0.251
0.749 0.251 0.749
0.749 0.749 0.251
0.750 0.750 0.750
```